[Listing]
A.
This record from Alexandria via LeMat-Bulk describes a geometry-optimized Dy5SbAu2 structure. The functional is PBE.

Results
* density of states at the Fermi level: 0.8824 states/eV per atom

Cell: 8.673 8.673 8.673 Å, 124.52 124.52 82.34°
Sites, in units of the cell vectors:
Dy: 0.000 0.000 0.000
Dy: 0.012 0.512 0.811
Dy: 0.201 0.012 0.500
Dy: 0.299 0.799 0.811
Dy: 0.488 0.299 0.500
Dy: 0.500 0.500 0.000
Dy: 0.512 0.701 0.500
Dy: 0.701 0.201 0.189
Dy: 0.799 0.988 0.500
Dy: 0.988 0.488 0.189
Sb: 0.250 0.250 0.000
Sb: 0.750 0.750 0.000
Au: 0.137 0.363 0.500
Au: 0.363 0.863 0.226
Au: 0.637 0.137 0.774
Au: 0.863 0.637 0.500

B.
This record from Alexandria via LeMat-Bulk describes a geometry-optimized Dy5SbAu2 structure. The functional is PBE.

Results
* density of states at the Fermi level: 1.2073 states/eV per atom

Cell: 10.125 10.125 10.125 Å, 137.22 137.22 62.09°
Sites, in units of the cell vectors:
Dy: 0.000 0.000 0.000
Dy: 0.001 0.501 0.170
Dy: 0.169 0.999 0.500
Dy: 0.331 0.831 0.830
Dy: 0.499 0.669 0.500
Dy: 0.500 0.500 0.000
Dy: 0.501 0.331 0.500
Dy: 0.669 0.169 0.170
Dy: 0.831 0.001 0.500
Dy: 0.999 0.499 0.830
Sb: 0.250 0.250 0.000
Sb: 0.750 0.750 0.000
Au: 0.128 0.628 0.756
Au: 0.372 0.128 0.500
Au: 0.628 0.872 0.500
Au: 0.872 0.372 0.244

It is B that is the least stable of them.

A.
This record from Alexandria via LeMat-Bulk describes a geometry-optimized Dy2ScAu2 structure. The functional is PBE.

Results
* density of states at the Fermi level: 1.2627 states/eV per atom

Cell: 6.022 6.022 6.022 Å, 141.70 111.08 81.70°
Sites, in units of the cell vectors:
Dy: 0.202 0.202 0.000
Dy: 0.798 0.798 0.000
Sc: 0.500 0.000 0.500
Au: 0.216 0.500 0.716
Au: 0.784 0.500 0.284

B.
This record from Alexandria via LeMat-Bulk describes a geometry-optimized Dy2ScAu2 structure. The functional is PBE.

Results
* density of states at the Fermi level: 1.4147 states/eV per atom

Cell: 8.061 8.061 3.719 Å, 90.00 90.00 90.00°
Sites, in units of the cell vectors:
Dy: 0.166 0.334 0.000
Dy: 0.334 0.834 0.000
Dy: 0.666 0.166 0.000
Dy: 0.834 0.666 0.000
Sc: 0.000 0.000 0.500
Sc: 0.500 0.500 0.500
Au: 0.134 0.634 0.500
Au: 0.366 0.134 0.500
Au: 0.634 0.866 0.500
Au: 0.866 0.366 0.500

It is A that is the least stable of them.

A.
This record from Alexandria via LeMat-Bulk describes a geometry-optimized DyScAu2 structure. The functional is PBE.

Results
* density of states at the Fermi level: 0.7034 states/eV per atom

Cell: 4.964 4.964 4.964 Å, 60.00 60.00 60.00°
Sites, in units of the cell vectors:
Dy: 0.000 0.000 0.000
Sc: 0.500 0.500 0.500
Au: 0.250 0.250 0.250
Au: 0.750 0.750 0.750

B.
This record from Alexandria via LeMat-Bulk describes a geometry-optimized DyScAu2 structure. The functional is PBE.

Results
* density of states at the Fermi level: 0.5508 states/eV per atom

Cell: 3.479 3.479 7.082 Å, 90.00 90.00 90.00°
Sites, in units of the cell vectors:
Dy: 0.000 0.000 0.000
Sc: 0.000 0.000 0.500
Au: 0.500 0.500 0.273
Au: 0.500 0.500 0.727

It is A that is the least stable of them.

A.
This record from Alexandria via LeMat-Bulk describes a geometry-optimized DyScTlAu structure. The functional is PBE.

Results
* density of states at the Fermi level: 0.8480 states/eV per atom

Cell: 5.103 5.103 5.103 Å, 60.00 60.00 60.00°
Sites, in units of the cell vectors:
Dy: 0.000 0.000 0.000
Sc: 0.500 0.500 0.500
Tl: 0.250 0.250 0.250
Au: 0.750 0.750 0.750

B.
This record from Alexandria via LeMat-Bulk describes a geometry-optimized DyScTlAu structure. The functional is PBE.

Results
* density of states at the Fermi level: 0.6443 states/eV per atom

Cell: 3.531 3.531 7.490 Å, 90.00 90.00 90.00°
Sites, in units of the cell vectors:
Dy: 0.000 0.000 0.000
Sc: 0.000 0.000 0.542
Tl: 0.500 0.500 0.285
Au: 0.500 0.500 0.745

It is A that is the least stable of them.

A.
This record from Alexandria via LeMat-Bulk describes a geometry-optimized SmDy2Au structure. The functional is PBE.

Results
* density of states at the Fermi level: 1.2978 states/eV per atom
[Work order]
The reader should echo the part of the contents further up that starts with the line with "Dy: 0.201" and stops after the one with "level: 1.2978".
[Written answer]
Dy: 0.201 0.012 0.500
Dy: 0.299 0.799 0.811
Dy: 0.488 0.299 0.500
Dy: 0.500 0.500 0.000
Dy: 0.512 0.701 0.500
Dy: 0.701 0.201 0.189
Dy: 0.799 0.988 0.500
Dy: 0.988 0.488 0.189
Sb: 0.250 0.250 0.000
Sb: 0.750 0.750 0.000
Au: 0.137 0.363 0.500
Au: 0.363 0.863 0.226
Au: 0.637 0.137 0.774
Au: 0.863 0.637 0.500

B.
This record from Alexandria via LeMat-Bulk describes a geometry-optimized Dy5SbAu2 structure. The functional is PBE.

Results
* density of states at the Fermi level: 1.2073 states/eV per atom

Cell: 10.125 10.125 10.125 Å, 137.22 137.22 62.09°
Sites, in units of the cell vectors:
Dy: 0.000 0.000 0.000
Dy: 0.001 0.501 0.170
Dy: 0.169 0.999 0.500
Dy: 0.331 0.831 0.830
Dy: 0.499 0.669 0.500
Dy: 0.500 0.500 0.000
Dy: 0.501 0.331 0.500
Dy: 0.669 0.169 0.170
Dy: 0.831 0.001 0.500
Dy: 0.999 0.499 0.830
Sb: 0.250 0.250 0.000
Sb: 0.750 0.750 0.000
Au: 0.128 0.628 0.756
Au: 0.372 0.128 0.500
Au: 0.628 0.872 0.500
Au: 0.872 0.372 0.244

It is B that is the least stable of them.

A.
This record from Alexandria via LeMat-Bulk describes a geometry-optimized Dy2ScAu2 structure. The functional is PBE.

Results
* density of states at the Fermi level: 1.2627 states/eV per atom

Cell: 6.022 6.022 6.022 Å, 141.70 111.08 81.70°
Sites, in units of the cell vectors:
Dy: 0.202 0.202 0.000
Dy: 0.798 0.798 0.000
Sc: 0.500 0.000 0.500
Au: 0.216 0.500 0.716
Au: 0.784 0.500 0.284

B.
This record from Alexandria via LeMat-Bulk describes a geometry-optimized Dy2ScAu2 structure. The functional is PBE.

Results
* density of states at the Fermi level: 1.4147 states/eV per atom

Cell: 8.061 8.061 3.719 Å, 90.00 90.00 90.00°
Sites, in units of the cell vectors:
Dy: 0.166 0.334 0.000
Dy: 0.334 0.834 0.000
Dy: 0.666 0.166 0.000
Dy: 0.834 0.666 0.000
Sc: 0.000 0.000 0.500
Sc: 0.500 0.500 0.500
Au: 0.134 0.634 0.500
Au: 0.366 0.134 0.500
Au: 0.634 0.866 0.500
Au: 0.866 0.366 0.500

It is A that is the least stable of them.

A.
This record from Alexandria via LeMat-Bulk describes a geometry-optimized DyScAu2 structure. The functional is PBE.

Results
* density of states at the Fermi level: 0.7034 states/eV per atom

Cell: 4.964 4.964 4.964 Å, 60.00 60.00 60.00°
Sites, in units of the cell vectors:
Dy: 0.000 0.000 0.000
Sc: 0.500 0.500 0.500
Au: 0.250 0.250 0.250
Au: 0.750 0.750 0.750

B.
This record from Alexandria via LeMat-Bulk describes a geometry-optimized DyScAu2 structure. The functional is PBE.

Results
* density of states at the Fermi level: 0.5508 states/eV per atom

Cell: 3.479 3.479 7.082 Å, 90.00 90.00 90.00°
Sites, in units of the cell vectors:
Dy: 0.000 0.000 0.000
Sc: 0.000 0.000 0.500
Au: 0.500 0.500 0.273
Au: 0.500 0.500 0.727

It is A that is the least stable of them.

A.
This record from Alexandria via LeMat-Bulk describes a geometry-optimized DyScTlAu structure. The functional is PBE.

Results
* density of states at the Fermi level: 0.8480 states/eV per atom

Cell: 5.103 5.103 5.103 Å, 60.00 60.00 60.00°
Sites, in units of the cell vectors:
Dy: 0.000 0.000 0.000
Sc: 0.500 0.500 0.500
Tl: 0.250 0.250 0.250
Au: 0.750 0.750 0.750

B.
This record from Alexandria via LeMat-Bulk describes a geometry-optimized DyScTlAu structure. The functional is PBE.

Results
* density of states at the Fermi level: 0.6443 states/eV per atom

Cell: 3.531 3.531 7.490 Å, 90.00 90.00 90.00°
Sites, in units of the cell vectors:
Dy: 0.000 0.000 0.000
Sc: 0.000 0.000 0.542
Tl: 0.500 0.500 0.285
Au: 0.500 0.500 0.745

It is A that is the least stable of them.

A.
This record from Alexandria via LeMat-Bulk describes a geometry-optimized SmDy2Au structure. The functional is PBE.

Results
* density of states at the Fermi level: 1.2978 states/eV per atom